Assignment.
Now echo the data further below with every line break kept.
Source.
/*
(1)
This record from the Alexandria database describes CsTe2Se2 after structural relaxation. The functional is GGA-PBEsol.

POSCAR file:
```
CsTe2Se2
1.0
5.593 0.000 0.000
0.000 5.593 0.000
0.000 0.000 12.076
Cs Te Se
2 4 4
direct
0.000 0.000 0.000 Cs
0.500 0.500 0.500 Cs
0.000 0.000 0.302 Te
0.000 0.000 0.698 Te
0.500 0.500 0.198 Te
0.500 0.500 0.802 Te
0.000 0.500 0.250 Se
0.000 0.500 0.750 Se
0.500 0.000 0.250 Se
0.500 0.000 0.750 Se
```

Summary:
total magnetization = 0.0 μB/f.u.
VASP energy = -3.518 eV per atom
energy above the most stable polymorph in this dataset = 0.000 eV/atom
ΔE_f (raw) = -379 meV per atom

***

(2)
This record from the Alexandria database describes CsTeSe3 after structural relaxation. The functional is GGA-PBEsol.

POSCAR file:
```
CsTeSe3
1.0
5.418 0.000 0.000
0.000 5.418 0.000
0.000 0.000 5.418
Cs Te Se
1 1 3
direct
0.000 0.000 0.000 Cs
0.500 0.500 0.500 Te
0.000 0.500 0.500 Se
0.500 0.000 0.500 Se
0.500 0.500 0.000 Se
```

Summary:
total magnetization = 0.0 μB/f.u.
VASP energy = -3.460 eV per atom
ΔE_f (raw) = -256 meV per atom

***

(3)
This record from the Alexandria database describes CsTe2Se2 after structural relaxation. The functional is GGA-PBEsol.

POSCAR file:
```
CsTe2Se2
1.0
9.300 0.000 0.000
0.000 9.300 0.000
0.000 0.000 4.356
Cs Te Se
2 4 4
direct
0.000 0.000 0.000 Cs
0.500 0.500 0.000 Cs
0.236 0.264 0.500 Te
0.264 0.764 0.500 Te
0.736 0.236 0.500 Te
0.764 0.736 0.500 Te
0.152 0.652 0.000 Se
0.348 0.152 0.000 Se
0.652 0.848 0.000 Se
0.848 0.348 0.000 Se
```

Summary:
total magnetization = 0.0 μB/f.u.
VASP energy = -3.394 eV per atom
energy above the most stable polymorph in this dataset = 0.125 eV/atom
ΔE_f (raw) = -255 meV per atom

***

(4)
This record from the Alexandria database describes CsTh2Se6 after structural relaxation. The functional is GGA-PBEsol.

POSCAR file:
```
CsTh2Se6
1.0
-2.092 2.755 11.932
2.092 -2.755 11.932
2.092 2.755 -11.932
Cs Th Se
1 2 6
direct
0.000 0.000 0.000 Cs
0.184 0.184 0.000 Th
0.816 0.816 0.000 Th
0.135 0.385 0.750 Se
0.271 0.771 0.500 Se
0.365 0.615 0.750 Se
0.635 0.385 0.250 Se
0.729 0.229 0.500 Se
0.865 0.615 0.250 Se
```

Summary:
total magnetization = 0.0 μB/f.u.
VASP energy = -5.945 eV per atom
ΔE_f (raw) = -1472 meV per atom

***

(5)
This record from the Alexandria database describes CsTiSe2 after structural relaxation. The functional is GGA-PBEsol.

POSCAR file:
```
CsTiSe2
1.0
7.673 0.000 0.000
0.000 12.615 0.000
-2.338 0.000 5.603
Cs Ti Se
4 4 8
direct
0.000 0.148 0.250 Cs
0.000 0.852 0.750 Cs
0.500 0.352 0.750 Cs
0.500 0.648 0.250 Cs
0.000 0.497 0.750 Ti
0.000 0.503 0.250 Ti
0.500 0.003 0.250 Ti
0.500 0.997 0.750 Ti
0.196 0.395 0.102 Se
0.196 0.605 0.602 Se
0.304 0.105 0.898 Se
0.304 0.895 0.398 Se
0.696 0.105 0.602 Se
0.696 0.895 0.102 Se
0.804 0.395 0.398 Se
0.804 0.605 0.898 Se
```

Summary:
total magnetization = 1.0 μB/f.u.
VASP energy = -5.440 eV per atom
ΔE_f (raw) = -1198 meV per atom

***

(6)
This record from the Alexandria database describes Cs3TiSe after structural relaxation. The functional is GGA-PBEsol.

POSCAR file:
```
Cs3TiSe
1.0
6.028 0.000 0.000
0.000 6.028 0.000
0.000 0.000 6.028
Cs Ti Se
3 1 1
direct
0.000 0.000 0.500 Cs
0.000 0.500 0.000 Cs
0.500 0.000 0.000 Cs
0.000 0.000 0.000 Ti
0.500 0.500 0.500 Se
```

Summary:
total magnetization = 4.8 μB/f.u.
VASP energy = -2.410 eV per atom
ΔE_f (raw) = 590 meV per atom

***

(7)
This record from the Alexandria database describes CsTlSe2 after structural relaxation. The functional is GGA-PBEsol.

POSCAR file:
```
CsTlSe2
1.0
5.846 -5.846 0.000
5.846 5.846 0.000
-2.907 0.000 16.843
Cs Tl Se
8 8 16
direct
0.153 0.782 0.602 Cs
0.216 0.348 0.887 Cs
0.218 0.847 0.898 Cs
0.348 0.216 0.387 Cs
0.652 0.784 0.613 Cs
0.782 0.153 0.102 Cs
0.784 0.652 0.113 Cs
0.847 0.218 0.398 Cs
0.084 0.711 0.337 Tl
0.289 0.916 0.163 Tl
0.290 0.415 0.167 Tl
0.415 0.290 0.667 Tl
0.585 0.710 0.333 Tl
0.710 0.585 0.833 Tl
0.711 0.084 0.837 Tl
0.916 0.289 0.663 Tl
0.043 0.957 0.250 Se
0.044 0.418 0.254 Se
*/
Outcome.
(1)
This record from the Alexandria database describes CsTe2Se2 after structural relaxation. The functional is GGA-PBEsol.

POSCAR file:
```
CsTe2Se2
1.0
5.593 0.000 0.000
0.000 5.593 0.000
0.000 0.000 12.076
Cs Te Se
2 4 4
direct
0.000 0.000 0.000 Cs
0.500 0.500 0.500 Cs
0.000 0.000 0.302 Te
0.000 0.000 0.698 Te
0.500 0.500 0.198 Te
0.500 0.500 0.802 Te
0.000 0.500 0.250 Se
0.000 0.500 0.750 Se
0.500 0.000 0.250 Se
0.500 0.000 0.750 Se
```

Summary:
total magnetization = 0.0 μB/f.u.
VASP energy = -3.518 eV per atom
energy above the most stable polymorph in this dataset = 0.000 eV/atom
ΔE_f (raw) = -379 meV per atom

***

(2)
This record from the Alexandria database describes CsTeSe3 after structural relaxation. The functional is GGA-PBEsol.

POSCAR file:
```
CsTeSe3
1.0
5.418 0.000 0.000
0.000 5.418 0.000
0.000 0.000 5.418
Cs Te Se
1 1 3
direct
0.000 0.000 0.000 Cs
0.500 0.500 0.500 Te
0.000 0.500 0.500 Se
0.500 0.000 0.500 Se
0.500 0.500 0.000 Se
```

Summary:
total magnetization = 0.0 μB/f.u.
VASP energy = -3.460 eV per atom
ΔE_f (raw) = -256 meV per atom

***

(3)
This record from the Alexandria database describes CsTe2Se2 after structural relaxation. The functional is GGA-PBEsol.

POSCAR file:
```
CsTe2Se2
1.0
9.300 0.000 0.000
0.000 9.300 0.000
0.000 0.000 4.356
Cs Te Se
2 4 4
direct
0.000 0.000 0.000 Cs
0.500 0.500 0.000 Cs
0.236 0.264 0.500 Te
0.264 0.764 0.500 Te
0.736 0.236 0.500 Te
0.764 0.736 0.500 Te
0.152 0.652 0.000 Se
0.348 0.152 0.000 Se
0.652 0.848 0.000 Se
0.848 0.348 0.000 Se
```

Summary:
total magnetization = 0.0 μB/f.u.
VASP energy = -3.394 eV per atom
energy above the most stable polymorph in this dataset = 0.125 eV/atom
ΔE_f (raw) = -255 meV per atom

***

(4)
This record from the Alexandria database describes CsTh2Se6 after structural relaxation. The functional is GGA-PBEsol.

POSCAR file:
```
CsTh2Se6
1.0
-2.092 2.755 11.932
2.092 -2.755 11.932
2.092 2.755 -11.932
Cs Th Se
1 2 6
direct
0.000 0.000 0.000 Cs
0.184 0.184 0.000 Th
0.816 0.816 0.000 Th
0.135 0.385 0.750 Se
0.271 0.771 0.500 Se
0.365 0.615 0.750 Se
0.635 0.385 0.250 Se
0.729 0.229 0.500 Se
0.865 0.615 0.250 Se
```

Summary:
total magnetization = 0.0 μB/f.u.
VASP energy = -5.945 eV per atom
ΔE_f (raw) = -1472 meV per atom

***

(5)
This record from the Alexandria database describes CsTiSe2 after structural relaxation. The functional is GGA-PBEsol.

POSCAR file:
```
CsTiSe2
1.0
7.673 0.000 0.000
0.000 12.615 0.000
-2.338 0.000 5.603
Cs Ti Se
4 4 8
direct
0.000 0.148 0.250 Cs
0.000 0.852 0.750 Cs
0.500 0.352 0.750 Cs
0.500 0.648 0.250 Cs
0.000 0.497 0.750 Ti
0.000 0.503 0.250 Ti
0.500 0.003 0.250 Ti
0.500 0.997 0.750 Ti
0.196 0.395 0.102 Se
0.196 0.605 0.602 Se
0.304 0.105 0.898 Se
0.304 0.895 0.398 Se
0.696 0.105 0.602 Se
0.696 0.895 0.102 Se
0.804 0.395 0.398 Se
0.804 0.605 0.898 Se
```

Summary:
total magnetization = 1.0 μB/f.u.
VASP energy = -5.440 eV per atom
ΔE_f (raw) = -1198 meV per atom

***

(6)
This record from the Alexandria database describes Cs3TiSe after structural relaxation. The functional is GGA-PBEsol.

POSCAR file:
```
Cs3TiSe
1.0
6.028 0.000 0.000
0.000 6.028 0.000
0.000 0.000 6.028
Cs Ti Se
3 1 1
direct
0.000 0.000 0.500 Cs
0.000 0.500 0.000 Cs
0.500 0.000 0.000 Cs
0.000 0.000 0.000 Ti
0.500 0.500 0.500 Se
```

Summary:
total magnetization = 4.8 μB/f.u.
VASP energy = -2.410 eV per atom
ΔE_f (raw) = 590 meV per atom

***

(7)
This record from the Alexandria database describes CsTlSe2 after structural relaxation. The functional is GGA-PBEsol.

POSCAR file:
```
CsTlSe2
1.0
5.846 -5.846 0.000
5.846 5.846 0.000
-2.907 0.000 16.843
Cs Tl Se
8 8 16
direct
0.153 0.782 0.602 Cs
0.216 0.348 0.887 Cs
0.218 0.847 0.898 Cs
0.348 0.216 0.387 Cs
0.652 0.784 0.613 Cs
0.782 0.153 0.102 Cs
0.784 0.652 0.113 Cs
0.847 0.218 0.398 Cs
0.084 0.711 0.337 Tl
0.289 0.916 0.163 Tl
0.290 0.415 0.167 Tl
0.415 0.290 0.667 Tl
0.585 0.710 0.333 Tl
0.710 0.585 0.833 Tl
0.711 0.084 0.837 Tl
0.916 0.289 0.663 Tl
0.043 0.957 0.250 Se
0.044 0.418 0.254 Se